**Excerpt:**
┌──
The following is a GGA+U calculation of crystalline Sr2Ca14Mn14Al2O41 at its relaxed geometry, from Materials Project.

Properties
The calculation puts the total energy at -1018.19 eV per cell. Its total magnetization is 54.00 μB/f.u. The space group is P1. As for the MP2020-corrected energy: -7.68 eV per atom.

a b c (Å): 11.0105 15.4993 11.0068
angles (deg): 90.09 91.88 90.01
Positions (direct):
Mn (0.9941, 0.7536, 0.2677)
Mn (0.7523, 0.2477, 0.4991)
Mn (0.5065, 0.4876, 0.7270)
Mn (0.7601, 0.7508, 0.0062)
Mn (0.9907, 0.4978, 0.7563)
Mn (0.9951, 0.4955, 0.2628)
Mn (0.7501, 0.7488, 0.5059)
Mn (0.5137, 0.7507, 0.7502)
Mn (0.2533, 0.0009, 0.0032)
Mn (0.0065, 0.2495, 0.7600)
Mn (0.2452, 0.2428, 0.4791)
Mn (0.7334, 0.9975, 0.5063)
Mn (0.5203, 0.7616, 0.2542)
Mn (0.7644, 0.2454, 0.0045)
Mn (0.7478, 0.5001, 0.9985)
Mn (0.0213, 0.9840, 0.2534)
Mn (0.7392, 0.5033, 0.4973)
Mn (0.5014, 0.2455, 0.2482)
Mn (0.7539, 0.9999, 0.0031)
Mn (0.5085, 0.4959, 0.2345)
Mn (0.9904, 0.7510, 0.7631)
Mn (0.5112, 0.2430, 0.7542)
Mn (0.2665, 0.7356, 0.9550)
Mn (0.2354, 0.4990, 0.0142)
Mn (0.9990, 0.9965, 0.7513)
Mn (0.4913, 0.0035, 0.7469)
Mn (0.2639, 0.7475, 0.4546)
Mn (0.2432, 0.4992, 0.5181)
O (0.1460, 0.0101, 0.8559)
O (0.8931, 0.0113, 0.8922)
O (0.2628, 0.3732, 0.9778)
O (0.7411, 0.6273, 0.5454)
O (0.3969, 0.2268, 0.3878)
O (0.5964, 0.9839, 0.6161)
O (0.3904, 0.0210, 0.8967)
O (0.0052, 0.8742, 0.7831)
O (0.9070, 0.7313, 0.4278)
O (0.3505, 0.5068, 0.1544)
O (0.6323, 0.0177, 0.8527)
O (0.2052, 0.1524, 0.0243)
O (0.3671, 0.2627, 0.1324)
O (0.5798, 0.7604, 0.5841)
O (0.4060, 0.2243, 0.8890)
O (0.8803, 0.2683, 0.6239)
O (0.0943, 0.4751, 0.1239)
O (0.6600, 0.7283, 0.8582)
O (0.9880, 0.8759, 0.3198)
O (0.3485, 0.9884, 0.6368)
O (0.9009, 0.2637, 0.1355)
O (0.8543, 0.4803, 0.1542)
O (0.3449, 0.5042, 0.6696)
O (0.2735, 0.8779, 0.4757)
O (0.2811, 0.3739, 0.4977)
O (0.8750, 0.2206, 0.3793)
O (0.8383, 0.4800, 0.6496)
O (0.8902, 0.5143, 0.8966)
O (0.8567, 0.9816, 0.6388)
O (0.1628, 0.7496, 0.8052)
O (0.9941, 0.6290, 0.7213)
O (0.4852, 0.8767, 0.7752)
O (0.8575, 0.7761, 0.1555)
O (0.5047, 0.3713, 0.2785)
O (0.3619, 0.9911, 0.1478)
O (0.6328, 0.2607, 0.1259)
O (0.7520, 0.1223, 0.0363)
O (0.6166, 0.2645, 0.6140)
O (0.4834, 0.3670, 0.7676)
O (0.1655, 0.7546, 0.2902)
O (0.6223, 0.0184, 0.3657)
O (0.6191, 0.9784, 0.1134)
O (0.7536, 0.3723, 0.9697)
O (0.9972, 0.1238, 0.7341)
O (0.8893, 0.5197, 0.4019)
O (0.4793, 0.1287, 0.7011)
O (0.6259, 0.5251, 0.8412)
O (0.8973, 0.2332, 0.8978)
O (0.6337, 0.2290, 0.3691)
O (0.5036, 0.1196, 0.2143)
O (0.0010, 0.6268, 0.2269)
O (0.2296, 0.6325, 0.5318)
O (0.9144, 0.7367, 0.9248)
O (0.5999, 0.4973, 0.0874)
O (0.9970, 0.3784, 0.3117)
O (0.2894, 0.8531, 0.9799)
O (0.0932, 0.4834, 0.6198)
O (0.7517, 0.1202, 0.5366)
O (0.5860, 0.7649, 0.0961)
O (0.7596, 0.8763, 0.9692)
O (0.1122, 0.9781, 0.1040)
O (0.1454, 0.5114, 0.8636)
O (0.4796, 0.8848, 0.2887)
O (0.7569, 0.6280, 0.0409)
O (0.0949, 0.9728, 0.6088)
O (0.1224, 0.2291, 0.3233)
O (0.0016, 0.3723, 0.7855)
O (0.1741, 0.2484, 0.8177)
O (0.7531, 0.8772, 0.4617)
O (0.1538, 0.5120, 0.3662)
O (0.7434, 0.3754, 0.4625)
O (0.1569, 0.0142, 0.3634)
O (0.6375, 0.5304, 0.3475)
O (0.6603, 0.7245, 0.3468)
O (0.8424, 0.7739, 0.6570)
O (0.8684, 0.0021, 0.1828)
O (0.2169, 0.6301, 0.0289)
O (0.6566, 0.2295, 0.8663)
O (0.4035, 0.6992, 0.3423)
O (0.2227, 0.1241, 0.5448)
O (0.5776, 0.4952, 0.5719)
O (0.3982, 0.6856, 0.8538)
Ca (0.5104, 0.3589, 0.4880)
Ca (0.2661, 0.1182, 0.7589)
Ca (0.9684, 0.3810, 0.0013)
Ca (0.9738, 0.8816, 0.9898)
Ca (0.5482, 0.6304, 0.9824)
Ca (0.5378, 0.6320, 0.4775)
Ca (0.7303, 0.8860, 0.7551)
Ca (0.2278, 0.6179, 0.2424)
Ca (0.4876, 0.8859, 0.5074)
Ca (0.2557, 0.8901, 0.2598)
Ca (0.2276, 0.3892, 0.7630)
Ca (0.5305, 0.1226, 0.9931)
Ca (0.0105, 0.1178, 0.9800)
Ca (0.7836, 0.6212, 0.2561)
Ca (0.2253, 0.6172, 0.7407)
Ca (0.5013, 0.8901, 0.9871)
Ca (0.0079, 0.6124, 0.5093)
Ca (0.7545, 0.3584, 0.7539)
Ca (0.7314, 0.1291, 0.2455)
Ca (0.9564, 0.3914, 0.5179)
Ca (0.5327, 0.1296, 0.4985)
└──

**Brief:**
Copy only the lines further up with the word "Its" in them.

**Here it is:**
The calculation puts the total energy at -1018.19 eV per cell. Its total magnetization is 54.00 μB/f.u. The space group is P1. As for the MP2020-corrected energy: -7.68 eV per atom.